Moon Sign Calculator

Look up your moon sign with this calculator.
Jump down below to see what the moon sign signifies.
Jump down below to see why birth time is not always needed.
★ To go more in-depth, see the freshly-updated free birth report.
After calculating your moon sign, you can read a longer description of your moon sign here.
You can also learn more about what the moon represents in astrology.
Moon Sign Meaning
Your moon sign describes what gives you that deepest, most secure feeling. That feeling can be described as what a newborn baby feels when the mother cradles her arms around the baby and holds it close to her chest.
We all need to feel like that once in a while. If our moon sign needs are never met, we can’t go on. When bad things happen, we seek to meet the needs of our moon sign more than anything else. When our moon sign needs are met, we feel secure. That secure feeling comes from different things for each of you, depending on your moon sign.
Birth Time is Not Always Needed
Birth time is not always required because the moon doesn’t change signs every day. So, it’s possible to know your moon sign without a birth time on certain days.
If the moon changed signs on your birthday, this calculator will tell you your two possible moon signs. Then, try reading the description for both signs to see which one you relate to most.
Image credit: Jakubowski Foto, Olsztyn, PL
Angie R
Moon sign Scorpio and zodiac is Scorpio.
Tony M
Same 10/76
Not me being Moon in Pisces-
Sun: Capricorn
Moon: Cancer
sun: aquarius
moon: Scorpio
My partner
sun: Aries
Moon: Cancer
Astrologically speaking, the Cancer/Scorpio relationship, regardless of the nature of that relationship, is the most deeply connected relationship there is! I am a Cancer/Scorpio & I am naturally drawn to Scorpio’s.
We Scorpios, Pisces, and the sign of the Crab are all water elements and are naturally drawn toward one another. Many will say there is nothing to astrology. This is nonsense. I am Scorpio. My best friend was Pisces. My younger brother is Pisces, and his best friend is Pisces. My older brother is Pisces, his best friend is Pisces, his wife is Scorpio. No one will tell me this is coincidental.
Frank A3
Agreed. Too many things that match in personality times to have it be purely coincidental.
same here I am saggitarous, Libra,and Aquarius and have always been ctracted o fire and water signs
That has not been the case for me. I’m a Cancer and have had multiple let downs abd low level connectivity from Scorpios in my life up until this point.
Yes I am female cancer moon, sun, Venus. Naturally attracted to Scorpio males. Intense. But they blow hot and cold! But it’s unspoken bond hey. ❤️
It has been said that no sign in the Zodiac is capable of good or bad as Scorpios. Yes. We do blow hot and cold, and tend to secrecy, jealousy, and never forget an insult.
I’m a Cancer and not drawn to Scorpios, have dated one or two in past. Not for me. Too wishy washy and weird. Every person very sign has their own signs they keep having in their lives. I don’t believe it is scorpio for all cancers! My sign i click with very well are Virgos and other Cancers in love. Aquarius is a close second after that. The longest relationship and most profound was an Aries and also the most negative as well. Definitely total opposites and completely different and not in good way like say a Virgo in that attraction the differences are what draws us close. With Aries it repulses.
Leo sun
Aquarius moon
le me- gemini + libra 😂
Sun: Leo
Rising: Sagittarius
Moon: Taurus
Sooooo I’m super stubborn, got it! 🤣
Wow my daughter exactly the same. She is just 16 months but definitely very stubborn.😃
Erin Zimmerman
Moon: Sag
Sun: Virgo
Rising: Virgo
I literally don’t understand how my entire life was explained within the description of my moon/rising.
Sun: Pisces
Moon: Aries
Marci Grindley
what is compatability my new man who is Sagitarian and me Aquarian.His moon is Leo mine is Scorpio.
Gemini sun 🌞
Gemini moon 🌙
Gemini rising ⬆️
That’s my combination 😘
Kate Klug
same on Sagittarius ♐️ 🤪
Ralph Thorpe
OMG- that’s some combo. You are highly intelligent, very social, love company, and are able to lie or change your mind at the drop of a dime!
Sun: Taurus
Moon: Leo
New to this what does this mean?
Taurus like comfort, music love having comfort, you probably like your home and comfortable things nice things. Leos are very outgoing. Have wonderful smiles, Leo can either be very shy, or can be very flamboyant and the life of the party, center of attention. Leo can also have a temper and can be possessive sometimes.Leo’s love nice things and like to spend money on nice things. You have a good balance with the Taurus. Taurus are also good with money so that should help you & balance out the Leo. Taurus are also down to earth and work hard. They like to earn money. Hope this helps.
Sun sign – Scorpio
Moon sign – Gemini
Leo sun🌞
Pisces moon🌙
Virgo rising⬆️
I’m a Capricorn sun, Aries Moon, and Capricorn rising
NICE! I bet you’re a classy woman.
sam schmet
sun – pisces
moon – aquarius
rising – aquarius
Ananya Rai
Moon- Aries
i am a Scorpio sun and moon, now i understand my wierdness a little better
You and I both, don’t feel bad – sun in Scorpio here, Cancerian moon. I always wondered why I never got my feelings under control.
Kimberly Huber
Sun: Leo
Rising: Leo
Moon: Virgo
That’s cool u got leo twice
I am a girl l am trust anyone but they cold hearted!
Charles Edward Hinkel II
Sun: Ophiuchus
Moon: Aries
Rising sign: Capricorn
Materials data that have nothing to do with the entry =
-- begin --
Entry from Alexandria: a geometry-optimized Ce2As4Rh5 structure (PBE).

Unit cell a=5.558 b=9.853 c=14.992 alpha=90.00 beta=90.00 gamma=90.00
Space group Fmmm (No. 69)
Unique sites:
Ce: 0.000 0.000 0.131 [8 per cell]
As: 0.000 0.157 0.371 [16 per cell]
Rh: 0.000 0.000 0.500 [4 per cell]
Rh: 0.250 0.250 0.000 [8 per cell]
Rh: 0.250 0.250 0.250 [8 per cell]

Energy of formation ... -69 kJ/mol of atoms
DFT total energy ... -6.82 eV per atom


1.
{
  "formula": "Ce2MnAs3Rh4",
  "functional": "PBE-GGA",
  "state": "relaxed",
  "cell": [[4.118, 0.000, 0.000], [0.000, 4.118, 0.000], [0.000, 0.000, 10.587]],
  "species": ["Ce", "Ce", "Mn", "As", "As", "As", "Rh", "Rh", "Rh", "Rh"],
  "fractional_positions": [[0.000, 0.500, 0.248], [0.500, 0.000, 0.752], [0.500, 0.500, 0.000], [0.000, 0.000, 0.000], [0.000, 0.500, 0.635], [0.500, 0.000, 0.365], [0.000, 0.000, 0.500], [0.000, 0.500, 0.863], [0.500, 0.000, 0.137], [0.500, 0.500, 0.500]],
  "total_energy_ev_per_atom": -7.2705,
  "formation_enthalpy_0k_ev_per_atom": -0.831
}

---

2.
{
  "formula": "Ce2MnAs4Ru3",
  "functional": "PBE-GGA",
  "state": "relaxed",
  "cell": [[4.246, 0.000, 0.000], [0.000, 4.246, 0.000], [0.000, 0.000, 10.052]],
  "species": ["Ce", "Ce", "Mn", "As", "As", "As", "As", "Ru", "Ru", "Ru"],
  "fractional_positions": [[0.000, 0.500, 0.242], [0.500, 0.000, 0.758], [0.000, 0.000, 0.500], [0.000, 0.000, 0.000], [0.000, 0.500, 0.637], [0.500, 0.000, 0.363], [0.500, 0.500, 0.000], [0.000, 0.500, 0.879], [0.500, 0.000, 0.121], [0.500, 0.500, 0.500]],
  "total_energy_ev_per_atom": -7.4105,
  "formation_enthalpy_0k_ev_per_atom": -0.664
}

---

3.
{
  "formula": "CeMoAs2",
  "functional": "PBE-GGA",
  "state": "relaxed",
  "cell": [[1.487, 0.859, 10.245], [-1.487, 0.859, 10.245], [0.000, -1.717, 10.245]],
  "species": ["Ce", "Mo", "As", "As"],
  "fractional_positions": [[0.000, 0.000, 0.000], [0.500, 0.500, 0.500], [0.416, 0.416, 0.416], [0.584, 0.584, 0.584]],
  "total_energy_ev_per_atom": -6.3310,
  "formation_enthalpy_0k_ev_per_atom": 0.185
}

---

4.
{
  "formula": "CeMoAs",
  "functional": "PBE-GGA",
  "state": "relaxed",
  "cell": [[2.162, 1.248, 7.746], [-2.162, 1.248, 7.746], [0.000, -2.496, 7.746]],
  "species": ["Ce", "Ce", "Mo", "Mo", "As", "As"],
  "fractional_positions": [[0.133, 0.133, 0.133], [0.867, 0.867, 0.867], [0.287, 0.287, 0.287], [0.713, 0.713, 0.713], [0.396, 0.396, 0.396], [0.604, 0.604, 0.604]],
  "total_energy_ev_per_atom": -7.3442,
  "formation_enthalpy_0k_ev_per_atom": -0.206
}


Entry from the Alexandria database: a relaxed structure of LiY2Mg2 (PBE-GGA).

Calculated values
**Energy above the most stable polymorph in this dataset**: 0.2611 eV/atom
**Space group**: No. 139
**Formation energy**: 0.318 eV per atom
**Calculated density**: 2.50 g cm⁻³
**Final energy**: -3.288 eV per atom
**Size of the total moment**: 0.00 μB/f.u.

Cell lengths 4.4871, 4.4871, 15.3889 Å; angles 90.00, 90.00, 90.00 degrees
Atoms (fractional coordinates):
Li: 0.0000 0.0000 0.0000
-- stop --
The entry goes on =
Anyone with sun:capricorn
moon: leo?
David Wildermuth
Sun : Virgo
Moon : Aquarius
Rising : Taurus
Sun Aquarius Partner Gemini
Moon Scorpio Partner Capricorn
Cancer -sun
Rising- taurus
I’m a Scorpio moon sign boy from southern tip of India.
I have moon in Leo and Virgo, I resonate with both, does it have to be one or the other ?
Well, yes, If the moon changed signs on the day you were born, then you need to know your birth time to figure out which sign it was in.
Moon in Scorpio and born Scorpio November 16 1952
Carol, you must be one emotional volcano, who tries to keep it under wraps, and look at the world like a detective. But when you love, you love deeply.
Sun sign : Cancer
Moon sign : Aries
I’m a Sagittarius sun but I really wish I was a triple Scorpio bc they are extremely EXTREMELY hot
I got taurus twice but I wanted it triple also because taurus are the most energetic and loving zodiac sign
Aries Sun
<<<
(P)
DFT (PBE-GGA) results for a geometry-optimized KBeNbPt structure.

The structure in extended XYZ format:
```
4
Lattice="0.0000 3.3437 3.3437 3.3437 0.0000 3.3437 3.3437 3.3437 0.0000" Properties=species:S:1:pos:R:3 pbc="T T T"
K 0.0000 0.0000 0.0000
Be 5.0155 5.0155 5.0155
Nb 3.3437 3.3437 3.3437
Pt 1.6718 1.6718 1.6718
```

Calculated values
Calculated volume ... 75 Å³/cell
Size of the total moment ... 0.02 μB/f.u.
Space-group type ... F-43m, No. 216

---

(Q)
DFT (PBE-GGA) results for a geometry-optimized KBeNbPt structure.

The structure in extended XYZ format:
```
4
Lattice="0.0000 3.2246 3.2246 3.2246 0.0000 3.2246 3.2246 3.2246 0.0000" Properties=species:S:1:pos:R:3 pbc="T T T"
K 0.0000 0.0000 0.0000
Be 1.6123 1.6123 1.6123
Nb 4.8369 4.8369 4.8369
Pt 3.2246 3.2246 3.2246
```

Calculated values
Calculated volume ... 67 Å³/cell
Size of the total moment ... 0.00 μB/f.u.
Space-group type ... F-43m, No. 216

---

The data favor (Q); the next most stable structure lies 243 meV per atom above it.

---

(P)
DFT (PBE-GGA) results for a geometry-optimized KBeNiSb structure.

The structure in extended XYZ format:
```
4
Lattice="0.0000 3.3214 3.3214 3.3214 0.0000 3.3214 3.3214 3.3214 0.0000" Properties=species:S:1:pos:R:3 pbc="T T T"
K 0.0000 0.0000 0.0000
Be 4.9821 4.9821 4.9821
Ni 1.6607 1.6607 1.6607
Sb 3.3214 3.3214 3.3214
```

Calculated values
Calculated volume ... 73 Å³/cell
Size of the total moment ... 0.00 μB/f.u.
Space-group type ... F-43m, No. 216

---

(Q)
DFT (PBE-GGA) results for a geometry-optimized KBeNiSb structure.

The structure in extended XYZ format:
```
4
Lattice="0.0000 3.4014 3.4014 3.4014 0.0000 3.4014 3.4014 3.4014 0.0000" Properties=species:S:1:pos:R:3 pbc="T T T"
K 0.0000 0.0000 0.0000
Be 3.4014 3.4014 3.4014
Ni 5.1020 5.1020 5.1020
Sb 1.7007 1.7007 1.7007
```

Calculated values
Calculated volume ... 79 Å³/cell
Size of the total moment ... 0.35 μB/f.u.
Space-group type ... F-43m, No. 216

---

The data favor (P); the next most stable structure lies 206 meV per atom above it.

---

(P)
DFT (PBE-GGA) results for a geometry-optimized KTaBeNi structure.

The structure in extended XYZ format:
```
4
Lattice="0.0000 3.1472 3.1472 3.1472 0.0000 3.1472 3.1472 3.1472 0.0000" Properties=species:S:1:pos:R:3 pbc="T T T"
K 0.0000 0.0000 0.0000
Ta 1.5736 1.5736 1.5736
Be 3.1472 3.1472 3.1472
Ni 4.7208 4.7208 4.7208
```

Calculated values
Calculated volume ... 62 Å³/cell
Size of the total moment ... 0.00 μB/f.u.
Space-group type ... F-43m, No. 216

---

(Q)
DFT (PBE-GGA) results for a geometry-optimized KTaBeNi structure.

The structure in extended XYZ format:
```
4
Lattice="0.0000 3.2551 3.2551 3.2551 0.0000 3.2551 3.2551 3.2551 0.0000" Properties=species:S:1:pos:R:3 pbc="T T T"
K 0.0000 0.0000 0.0000
Ta 3.2551 3.2551 3.2551
Be 4.8827 4.8827 4.8827
Ni 1.6276 1.6276 1.6276
```

Calculated values
Calculated volume ... 69 Å³/cell
Size of the total moment ... 0.00 μB/f.u.
Space-group type ... F-43m, No. 216

---
>>>
Aquarius Moon
Scorpio Rising
Partner is Sun Scorpio
Sun: Scorpio
Moon: Cancer
Ascendant (rising): Sagittarius
Dee Masters
sun – Aries
moon- Taurus
Rising- Sagittarius
Omg! Your rising is Sagittarius. We are twins for real
Sun-Taurus ♉
Moon-Taurus ♉
Rising-Sagittarius ♐
How interesting I got taurus double times
Zodiac: saggitarous
sun: Aquarius
moon: gemini
Coor my moon is Aries the ram
Well, I am sun sign: Capricorn
moon sign : Aquarius
so, which person would I be drawn to? And what type of person am I?